Sodexo and Stop Hunger launch partnership across Europe with FEBA to strengthen surplus food donation

Sodexo and its unique philanthropic cause Stop Hunger have launched a region-wide partnership with the European Food Banks Federation (FEBA).

Building upon existing collaboration between the organisations at a European and local level, the parties have signed an agreement in line with their mutual goal of preventing food waste while encouraging food surplus donation across Europe.

With this agreement, Sodexo recognises FEBA as a partner for the donation of surplus food from meal production in the countries where FEBA has members.

Cooperation with local food banks already exists in several countries and thanks to this new region-wide partnership with FEBA, Sodexo and Stop Hunger could extend their actions to reach more than 18 countries.

As stated in the EU Food Donations guidelines, the recovery of food surplus from the hospitality, catering and food service sectors is possible. While rules may differ in the Member States, most national authorities allow the redistribution of certain foods made available to customers. Some Member States together with sectorial organisations have established specific guidelines related to food donation from these sectors.

With this new partnership, Sodexo will assist as much as possible its food production teams to better understand and apply the guidelines, while FEBA will support overcoming barriers to donation.

"As a major food service provider, we have made it our utmost priority to save food."

Sunil NayakSodexo Europe President
"Every time it is made possible, we share the surplus of food from meals with people in need. Our extended partnership with FEBA will help us to reinforce our support to local communities and secure new bonds to fight against food insecurity."

"We are facing a global food crisis, with every zone of the world affected, and action is more crucial than ever."

Unrelated to this page: calculated crystals >
........
## i
Li2CrP3O10: relaxed, GGA+U.

```
data_Li2CrP3O10
_cell_length_a 14.252
_cell_length_b 7.194
_cell_length_c 9.571
_cell_angle_alpha 90.00
_cell_angle_beta 126.89
_cell_angle_gamma 90.00
_symmetry_space_group_name_H-M 'C 1 2/c 1'
_symmetry_Int_Tables_number 15
_symmetry_space_group_name_Hall '-C 2yc'
loop_
_atom_site_label
_atom_site_fract_x
_atom_site_fract_y
_atom_site_fract_z
Li1 0.229 0.013 0.041
Cr1 0.000 0.164 0.250
P1 0.000 0.457 0.750
P2 0.118 0.185 0.684
O1 0.004 0.321 0.622
O2 0.091 0.125 0.510
O3 0.107 0.414 0.344
O4 0.114 0.019 0.783
O5 0.230 0.287 0.804
```

## ii
Li2CrP3O10: relaxed, GGA+U.

```
data_Li2CrP3O10
_cell_length_a 12.036
_cell_length_b 8.027
_cell_length_c 9.710
_cell_angle_alpha 90.00
_cell_angle_beta 95.86
_cell_angle_gamma 90.00
_symmetry_space_group_name_H-M 'P 1 21/c 1'
_symmetry_Int_Tables_number 14
_symmetry_space_group_name_Hall '-P 2ybc'
loop_
_atom_site_label
_atom_site_fract_x
_atom_site_fract_y
_atom_site_fract_z
Li1 0.051 0.111 0.093
Li2 0.352 0.042 0.115
Cr1 0.331 0.643 0.871
P1 0.167 0.716 0.575
P2 0.225 0.076 0.585
P3 0.436 0.567 0.192
O1 0.052 0.640 0.572
O2 0.163 0.226 0.623
O3 0.164 0.591 0.132
O4 0.207 0.720 0.430
O5 0.251 0.058 0.436
O6 0.251 0.621 0.677
O7 0.345 0.085 0.682
O8 0.417 0.659 0.325
O9 0.418 0.665 0.057
O10 0.446 0.507 0.783
```

Preferred: ii; penalty for the next structure: 13 meV per atom.

## i
Li2Cr5P4O16: relaxed, GGA+U.

```
data_Li2Cr5P4O16
_cell_length_a 5.467
_cell_length_b 8.076
_cell_length_c 8.534
_cell_angle_alpha 65.06
_cell_angle_beta 88.60
_cell_angle_gamma 78.69
_symmetry_space_group_name_H-M 'P -1'
_symmetry_Int_Tables_number 2
_symmetry_space_group_name_Hall '-P 1'
loop_
_atom_site_label
_atom_site_fract_x
_atom_site_fract_y
_atom_site_fract_z
Li1 0.142 0.407 0.275
Cr1 0.165 0.082 0.682
Cr2 0.378 0.749 0.217
Cr3 0.500 0.500 0.000
P1 0.140 0.201 0.020
P2 0.372 0.709 0.580
O1 0.125 0.690 0.056
O2 0.134 0.004 0.168
O3 0.211 0.668 0.458
O4 0.213 0.854 0.630
O5 0.271 0.307 0.095
O6 0.288 0.167 0.873
O7 0.376 0.243 0.496
O8 0.448 0.520 0.750
```

## ii
Li2Cr5P4O16: relaxed, GGA+U.

```
data_Li2Cr5P4O16
_cell_length_a 5.512
_cell_length_b 8.056
_cell_length_c 8.642
_cell_angle_alpha 63.35
_cell_angle_beta 84.45
_cell_angle_gamma 79.16
_symmetry_space_group_name_H-M 'P -1'
_symmetry_Int_Tables_number 2
_symmetry_space_group_name_Hall '-P 1'
loop_
_atom_site_label
_atom_site_fract_x
_atom_site_fract_y
_atom_site_fract_z
Li1 0.130 0.104 0.210
Cr1 0.210 0.254 0.790
Cr2 0.324 0.443 0.294
Cr3 0.500 0.000 0.500
P1 0.169 0.694 0.507
P2 0.374 0.801 0.912
O1 0.066 0.254 0.401
O2 0.104 0.643 0.363
O3 0.177 0.983 0.845
O4 0.244 0.635 0.027
O5 0.311 0.863 0.413
O6 0.333 0.516 0.644
O7 0.397 0.181 0.009
O8 0.482 0.782 0.743
```

Preferred: ii; penalty for the next structure: 20 meV per atom.

## i
Li2CrP5O15: relaxed, GGA+U.

```
data_Li2CrP5O15
_cell_length_a 7.590
_cell_length_b 11.089
_cell_length_c 13.492
_cell_angle_alpha 90.00
_cell_angle_beta 102.28
_cell_angle_gamma 90.00
........

Mouna Fassi DaoudiPresident, Stop Hunger
"To facilitate surplus donation, Stop Hunger has hundreds of partnerships across the world with Food Banks and NGOs. This new Europe-wide partnership with FEBA will help us provide even more support to the most vulnerable, whilst bolstering our capacity to raise awareness and reinforcing our message that every step counts in the fight against hunger and food insecurity. We look forward to seeing what we can achieve together."

"In times of crisis, collaboration is the main ingredient to adopt bold objectives and reaching them."

Here the entry breaks off for data records:
-- begin --
A:
Material: CaCrO2
Method: DFT, PBE+U
State: optimized geometry

Total magnetic moment (Bohr magnetons per cell): 0.0
Density (Mg/m³): 3.411
Space group: P-1, No. 2

The structure in extended XYZ format:
```
16
Lattice="3.126 0.000 0.000 1.466 8.724 0.000 1.540 0.506 8.858" Properties=species:S:1:pos:R:3 pbc="T T T"
Ca 0.790 2.106 0.640
Ca 2.256 5.315 2.743
Ca 3.876 3.915 6.116
Ca 5.343 7.123 8.218
Cr 2.248 6.629 5.411
Cr 2.320 1.091 6.850
Cr 3.812 8.139 2.008
Cr 3.884 2.601 3.447
O 0.782 0.620 2.342
O 2.244 6.883 1.107
O 2.319 2.885 4.842
O 2.346 3.180 2.026
O 3.786 6.050 6.832
O 3.813 6.345 4.016
O 3.888 2.347 7.751
O 5.350 8.609 6.517
```



B:
Material: CaCrO2
Method: DFT, PBE+U
State: optimized geometry

Total magnetic moment (Bohr magnetons per cell): 0.0
Density (Mg/m³): 3.927
Space group: I4_1/amd, No. 141

The structure in extended XYZ format:
```
16
Lattice="-3.107 3.107 5.434 3.107 -3.107 5.434 3.107 3.107 -5.434" Properties=species:S:1:pos:R:3 pbc="T T T"
Ca 0.000 0.000 0.000
Ca 1.554 1.554 -2.717
Ca 1.554 -1.554 2.717
Ca 0.000 3.107 0.000
Cr 3.107 0.000 0.000
Cr -1.554 1.554 2.717
Cr 0.000 0.000 5.434
Cr 1.554 1.554 2.717
O 1.728 1.554 -0.300
O 4.487 1.554 -0.300
O 0.000 0.174 2.417
O 3.107 0.174 3.017
O 0.000 2.933 2.417
O 3.107 2.933 3.017
O -1.379 1.554 5.734
O 1.379 1.554 5.734
```



The structure with the greatest stability is B.



A:
Material: CaCrO2
Method: DFT, PBE+U
State: optimized geometry

Total magnetic moment (Bohr magnetons per cell): 16.0
Density (Mg/m³): 3.261
Space group: P-1, No. 2

The structure in extended XYZ format:
```
16
Lattice="3.109 0.000 0.000 1.498 8.839 0.000 1.537 0.466 9.196" Properties=species:S:1:pos:R:3 pbc="T T T"
Ca 0.761 1.213 1.759
Ca 2.291 2.379 5.235
Ca 3.853 6.926 3.961
Ca 5.382 8.092 7.436
Cr 2.297 2.126 8.062
Cr 2.294 4.077 2.761
Cr 3.850 5.228 6.434
Cr 3.847 7.179 1.133
O 2.298 6.569 5.728
O 2.295 4.007 6.756
O 2.297 7.901 2.510
O 3.828 7.606 8.942
O 2.316 1.700 0.253
O 3.847 1.404 6.686
O 3.849 5.298 2.439
O 3.846 2.736 3.468
```



B:
Material: CaCrO2
Method: DFT, PBE+U
State: optimized geometry

Total magnetic moment (Bohr magnetons per cell): 13.5
Density (Mg/m³): 3.351
Space group: C2/m, No. 12

The structure in extended XYZ format:
```
16
Lattice="9.124 -1.549 0.000 9.124 1.549 0.000 -3.880 0.000 8.698" Properties=species:S:1:pos:R:3 pbc="T T T"
Ca -0.909 0.000 2.615
Ca 4.845 0.000 2.542
Ca 9.522 0.000 6.156
Ca 15.277 0.000 6.083
Cr 2.031 0.000 3.150
Cr 2.590 0.000 8.670
Cr 11.777 0.000 0.028
Cr 12.336 0.000 5.548
O -0.988 0.000 7.277
O 2.779 0.000 1.306
O 1.858 0.000 5.179
O 4.553 0.000 5.762
O 9.814 0.000 2.936
O 12.509 0.000 3.520
O 11.589 0.000 7.393
O 15.356 0.000 1.421
```



The structure with the greatest stability is A.



A:
Material: CaCr2O5
Method: DFT, PBE+U
State: optimized geometry

Total magnetic moment (Bohr magnetons per cell): 8.0
Density (Mg/m³): 3.595
Space group: Pmmn, No. 59

The structure in extended XYZ format:
```
16
-- stop --

Jacques VandenschrikFEBA President
"At FEBA, we understand and recognize the indispensable value of food and today, thanks to this new level of collaboration we can take a further step in the prevention of food waste and reduction of food insecurity. FEBA is grateful to Sodexo and Stop Hunger for this cooperation which is now extended to several countries of our Europe."
Overall, this contributes to an ongoing global effort by Sodexo and Stop Hunger to support surplus food donation.